When I learned that the University of Louisiana’s New Iberia Research Center had finally decided to send Hercules, Leo, and 218 other imprisoned chimpanzees to the Project Chimps sanctuary, I was on a break between lectures in Bahia Blanca, Argentina. When I resumed my lecture, I began by announcing, in English, what I had learned. To my astonishment, the interpreter immediately began to weep. When she could finally speak, the audience burst into applause.
When I learned that the University of Louisiana’s New Iberia Research Center had finally decided to send Hercules, Leo, and 218 other imprisoned chimpanzees to the Project Chimps sanctuary, I was on a break between lectures in Bahia Blanca, Argentina. When I resumed my lecture, I began by announcing, in English, what I had learned. To my astonishment, the interpreter immediately began to weep. When she could finally speak, the audience burst into applause.
This reaction brought home the fact that the work of the Nonhuman Rights Project is greatly respected and closely followed in Argentina, where there has long been a vibrant, passionate, dedicated community of people pursuing legal protections and rights for nonhuman animals. I had the pleasure of meeting some of them two years ago in Cordoba, Argentina when I participated in the Second International Congress on the Rights and Protections of Animals.
As many NhRP supporters know, Argentina is the country where, since 2014, attorneys have filed habeas corpus lawsuits intended to free from captivity a polar bear named Arturo, an orangutan named Sandra, and two chimpanzees. Like NhRP clients chimpanzees Tommy and Kiko, these nonhuman animals usually live alone without the company of others of their kind.
I was invited to Buenos Aires and Bahia Blanca to speak in the Buenos Aires Legislature, the Argentine National Senate, the Law School at Bahia Blanca, the University of Buenos Aires Law School, and the Buenos Aires Bar Association. Everywhere, audiences were large and enthusiastic about the work the NhRP is doing in the US. I was eager to exchange ideas with Argentine attorneys, learn more about Argentine animal rights advocates’ efforts to obtain personhood for nonhuman animals, and, I hoped, find out what was going on with the habeas corpus cases. After meeting one remarkable animal rights advocate after another, I feel confident that, together, we can gain legal personhood for nonhuman animals in both countries.
On Monday, May 2nd, Legislator Adrián Camps introduced me at a one-hour press conference held in the Sala de Eva Perón in the Parliament building in Buenos Aires. Perón, of course, was a legendary figure in Argentine politics, fighting for women’s suffrage and labor rights among numerous other social justice causes. Perón’s pens were still on her desk, which was positioned in a place of honor in the room.
After the press conference, I was taken up a grand marble staircase to the Buenos Aires Parliament lecture room, which was filled with about 300 people. The movie trailer for Unlocking The Cage was playing on a loop on a large screen at one end of the hall. It was surreal to walk into the room and see NhRP Attorney Elizabeth Stein and former Executive Director Natalie Prosin speaking from the large screen.
Dr. Gerardo Biglia, an attorney with the Centro de Prevencion de Crueldad al Animal (CPCA), gave a impressive talk about the drive toward obtaining legal personhood for nonhuman animals in Argentina. Legislator Camps then presented me with a certificate and gold medallion making me an official “Guest of the City,” which I accepted on behalf of my extraordinary colleagues in the NhRP.
• Here the page breaks off for materials data:
/*
Entry 1:
Diffraction record for C. The X-ray powder pattern is theoretical, not measured: it uses a DFT-relaxed cell (GGA-PBE, the Materials Project) and a wavelength of 1.5418 Å.

Atomic structure:
```
data_C
_chemical_formula_sum 'C180'
_cell_length_a 9.2047
_cell_length_b 9.2047
_cell_length_c 24.6970
_cell_angle_alpha 90.00
_cell_angle_beta 90.00
_cell_angle_gamma 120.00
_space_group_name_H-M_alt 'R -3 m'
_space_group_IT_number 166
_space_group_name_Hall '-R 3 2"'
loop_
_atom_site_label
_atom_site_type_symbol
_atom_site_fract_x
_atom_site_fract_y
_atom_site_fract_z
C1 C 0.0017 0.1561 0.3730
C2 C 0.0166 0.2908 0.5945
C3 C 0.0329 0.2390 0.8220
C4 C 0.0460 0.5230 0.7600
C5 C 0.0579 0.4520 0.8971
C6 C 0.1076 0.2152 0.1432
```

Top 12 peaks for 2θ from 15° to 90°, by intensity:
d (Å)	intensity	h k l
4.881	100	1 0 4
4.199	59	0 1 5
4.602	46	1 1 0
2.927	22	1 2 2
4.017	16	1 1 3
3.068	14	1 1 6
3.102	13	2 0 5
4.116	11	0 0 6
1.715	9	2 3 5
2.232	8	0 3 6
2.441	8	2 0 8
2.572	6	1 2 5

Entry 2:
Diffraction record for C. The X-ray powder pattern is theoretical, not measured: it uses a DFT-relaxed cell (GGA-PBE, the Materials Project) and a wavelength of 1.5418 Å.

Atomic structure:
```
data_C
_chemical_formula_sum 'C16'
_cell_length_a 4.915
_cell_length_b 5.489
_cell_length_c 6.265
_cell_angle_alpha 90.00
_cell_angle_beta 90.00
_cell_angle_gamma 90.00
_space_group_name_H-M_alt 'C m m m'
_space_group_IT_number 65
_space_group_name_Hall '-C 2 2'
loop_
_atom_site_label
_atom_site_type_symbol
_atom_site_fract_x
_atom_site_fract_y
_atom_site_fract_z
C1 C 0.000 0.126 0.195
C2 C 0.250 0.250 0.109
```

Top 12 peaks for 2θ from 15° to 90°, by intensity:
d (Å)	intensity	h k l
3.662	100	1 1 0
2.744	39	0 2 0
2.514	33	0 2 1
2.380	26	1 1 2
2.088	23	0 0 3
3.133	20	0 0 2
1.934	18	2 0 2
1.757	15	2 2 1
1.831	15	2 2 0
3.161	14	1 1 1
1.198	11	2 4 0
1.814	11	1 1 3

Entry 3:
Diffraction record for C. The X-ray powder pattern is theoretical, not measured: it uses a DFT-relaxed cell (GGA-PBE, the Materials Project) and a wavelength of 1.5418 Å.

Atomic structure:
```
data_C
_chemical_formula_sum 'C20'
_cell_length_a 5.217
_cell_length_b 5.217
_cell_length_c 5.217
_cell_angle_alpha 90.00
_cell_angle_beta 90.00
_cell_angle_gamma 90.00
_space_group_name_H-M_alt 'P m -3 m'
_space_group_IT_number 221
_space_group_name_Hall '-P 4 2 3'
loop_
_atom_site_label
_atom_site_type_symbol
_atom_site_fract_x
_atom_site_fract_y
_atom_site_fract_z
C1 C 0.000 0.348 0.348
C2 C 0.238 0.238 0.238
```

Top 12 peaks for 2θ from 15° to 90°, by intensity:
d (Å)	intensity	h k l
3.689	100	1 1 0
2.609	62	2 0 0
3.012	53	1 1 1
2.333	46	2 1 0
1.739	34	3 0 0
1.167	27	4 2 0
1.230	26	3 3 0
1.845	23	2 2 0
2.130	21	2 1 1
1.506	8	2 2 2
1.265	7	3 2 2
1.573	7	3 1 1

Entry 4:
Diffraction record for C. The X-ray powder pattern is theoretical, not measured: it uses a DFT-relaxed cell (GGA-PBE, the Materials Project) and a wavelength of 1.5418 Å.

Atomic structure:
```
data_C
_chemical_formula_sum 'C8'
_cell_length_a 2.702
*/
I then gave an hour lecture. Everyone wanted to know what the NhRP is doing. People walked up to say how much the NhRP’s work means to them. It was very moving. The next day in Bahia Blanca, when I walked by a meeting of the local legislature, one legislator looked up, appeared to recognize me, and gave a thumbs up!

The next day, my wife, Gail (who accompanied me as my interpreter—in many photographs you will see my head bent in her direction as I strained to catch her whispered interpretation of the Spanish being spoken by everyone except me) and I caught an early plane to Bahia Blanca, a city of 400,000. There I participated in a ceremony and was made an official “Guest of the City” of Bahia Blanca at City Hall, again complete with certificate and medallion. I was taken to the Bar Association to meet the incoming and outgoing dean and to be interviewed. Then I anchored a two-day conference at the law school in which I spoke at length about the work of the NhRP and how it might apply to Argentina, while several Argentinian lawyers spoke about the use of habeas corpus in Argentina.
Back in Buenos Aires, I was given a tour of the Federal Senate and House of Representatives. I was supposed to speak in the room reserved for when Presidents lie in state, but a chunk of ceiling fell, and we were assigned to another room. That audience included federal Senators and Representatives, while letters were read loud from prominent judges and politicians expressing regrets for being unable to attend. I was introduced by Senator María Magdalena Odarda, a great friend of nonhuman animals in Argentina who awarded me a “Diploma of Honor” from the Federal Senate. Following my lecture, I went to a lovely reception at the Buenos Aires Bar Association, where I was honored with another certificate.
The last day I lunched with animal rights lawyers Graciela Regina Adre (our host who labored for months to get me and Gail to Argentina and these events) and Gerardo Biglia as we planned how to work long term with each other in the struggle for legal personhood for nonhuman animals.
My trip ended with an address to a standing room only crowd at the University of Buenos Aires Law School. My lecture was followed by a wonderful speech given by animal rights professor Susana Dascalaky. I was then delighted to hear the respected civil appellate judge Oscar Ameal praise the NhRP’s work.
Thank you, Buenos Aires, Bahia Blanca, and Argentina, for one of the most gracious weeks of my life. I made many friends and colleagues with whom the NhRP will work for many years. Mucho gracias. I am immensely proud of and moved by the work that nonhuman rights advocates are doing in Argentina and look forward to working together in the months and years to come.